    |  Similarity is determined by comparing #[strong word vectors] or "word
    |  embeddings", multi-dimensional meaning representations of a word. Word
    |  vectors can be generated using an algorithm like
    |  #[+a("https://en.wikipedia.org/wiki/Word2vec") word2vec] and usually
    |  look like this:

+code("banana.vector", false, false, 250).
    array([2.02280000e-01,  -7.66180009e-02,   3.70319992e-01,
           3.28450017e-02,  -4.19569999e-01,   7.20689967e-02,
          -3.74760002e-01,   5.74599989e-02,  -1.24009997e-02,
           5.29489994e-01,  -5.23800015e-01,  -1.97710007e-01,
          -3.41470003e-01,   5.33169985e-01,  -2.53309999e-02,
           1.73800007e-01,   1.67720005e-01,   8.39839995e-01,
           5.51070012e-02,   1.05470002e-01,   3.78719985e-01,
           2.42750004e-01,   1.47449998e-02,   5.59509993e-01,
           1.25210002e-01,  -6.75960004e-01,   3.58420014e-01,
          -4.00279984e-02,   9.59490016e-02,  -5.06900012e-01,
          -8.53179991e-02,   1.79800004e-01,   3.38669986e-01,
           1.32300004e-01,   3.10209990e-01,   2.18779996e-01,
           1.68530002e-01,   1.98740005e-01,  -5.73849976e-01,
          -1.06490001e-01,   2.66689986e-01,   1.28380001e-01,
          -1.28030002e-01,  -1.32839993e-01,   1.26570001e-01,
           8.67229998e-01,   9.67210010e-02,   4.83060002e-01,
           2.12709993e-01,  -5.49900010e-02,  -8.24249983e-02,
           2.24079996e-01,   2.39749998e-01,  -6.22599982e-02,
           6.21940017e-01,  -5.98999977e-01,   4.32009995e-01,
           2.81430006e-01,   3.38420011e-02,  -4.88150001e-01,
          -2.13589996e-01,   2.74010003e-01,   2.40950003e-01,
           4.59500015e-01,  -1.86049998e-01,  -1.04970002e+00,
          -9.73049998e-02,  -1.89080000e-01,  -7.09290028e-01,
           4.01950002e-01,  -1.87680006e-01,   5.16870022e-01,
           1.25200003e-01,   8.41499984e-01,   1.20970003e-01,
           8.82389992e-02,  -2.91959997e-02,   1.21510006e-03,
           5.68250008e-02,  -2.74210006e-01,   2.55640000e-01,
           6.97930008e-02,  -2.22580001e-01,  -3.60060006e-01,
          -2.24020004e-01,  -5.36990017e-02,   1.20220006e+00,
           5.45350015e-01,  -5.79980016e-01,   1.09049998e-01,
           4.21669990e-01,   2.06619993e-01,   1.29360005e-01,
          -4.14570011e-02,  -6.67770028e-01,   4.04670000e-01,
          -1.52179999e-02,  -2.76400000e-01,  -1.56110004e-01,
          -7.91980028e-02,   4.00369987e-02,  -1.29439995e-01,
          -2.40900001e-04,  -2.67850012e-01,  -3.81150007e-01,
          -9.72450018e-01,   3.17259997e-01,  -4.39509988e-01,
           4.19340014e-01,   1.83530003e-01,  -1.52600005e-01,
          -1.08080000e-01,  -1.03579998e+00,   7.62170032e-02,
           1.65189996e-01,   2.65259994e-04,   1.66160002e-01,
          -1.52810007e-01,   1.81229994e-01,   7.02740014e-01,
           5.79559989e-03,   5.16639985e-02,  -5.97449988e-02,
          -2.75510013e-01,  -3.90489995e-01,   6.11319989e-02,
           5.54300010e-01,  -8.79969969e-02,  -4.16810006e-01,
           3.28260005e-01,  -5.25489986e-01,  -4.42880005e-01,
           8.21829960e-03,   2.44859993e-01,  -2.29819998e-01,
          -3.49810004e-01,   2.68940002e-01,   3.91660005e-01,
          -4.19039994e-01,   1.61909997e-01,  -2.62630010e+00,
           6.41340017e-01,   3.97430003e-01,  -1.28680006e-01,
          -3.19460005e-01,  -2.56330013e-01,  -1.22199997e-01,
           3.22750002e-01,  -7.99330026e-02,  -1.53479993e-01,
           3.15050006e-01,   3.05909991e-01,   2.60120004e-01,
           1.85530007e-01,  -2.40429997e-01,   4.28860001e-02,
           4.06219989e-01,  -2.42559999e-01,   6.38700008e-01,
           6.99829996e-01,  -1.40430003e-01,   2.52090007e-01,
           4.89840001e-01,  -6.10670000e-02,  -3.67659986e-01,
          -5.50890028e-01,  -3.82649988e-01,  -2.08430007e-01,
           2.28320003e-01,   5.12179971e-01,   2.78679997e-01,
           4.76520002e-01,   4.79510017e-02,  -3.40079993e-01,
          -3.28729987e-01,  -4.19669986e-01,  -7.54989982e-02,
          -3.89539987e-01,  -2.96219997e-02,  -3.40700001e-01,
           2.21699998e-01,  -6.28560036e-02,  -5.19029975e-01,
          -3.77739996e-01,  -4.34770016e-03,  -5.83010018e-01,
          -8.75459984e-02,  -2.39289999e-01,  -2.47109994e-01,
          -2.58870006e-01,  -2.98940003e-01,   1.37150005e-01,
           2.98919994e-02,   3.65439989e-02,  -4.96650010e-01,
          -1.81600004e-01,   5.29389977e-01,   2.19919994e-01,
          -4.45140004e-01,   3.77979994e-01,  -5.70620000e-01,
          -4.69460003e-02,   8.18059966e-02,   1.92789994e-02,
           3.32459986e-01,  -1.46200001e-01,   1.71560004e-01,
           3.99809986e-01,   3.62170011e-01,   1.28160000e-01,
           3.16439986e-01,   3.75690013e-01,  -7.46899992e-02,
          -4.84800003e-02,  -3.14009994e-01,  -1.92860007e-01,
          -3.12940001e-01,  -1.75529998e-02,  -1.75139993e-01,
          -2.75870003e-02,  -1.00000000e+00,   1.83870003e-01,
           8.14339995e-01,  -1.89129993e-01,   5.09989977e-01,
          -9.19600017e-03,  -1.92950002e-03,   2.81890005e-01,
           2.72470005e-02,   4.34089988e-01,  -5.49669981e-01,
          -9.74259973e-02,  -2.45399997e-01,  -1.72030002e-01,
          -8.86500031e-02,  -3.02980006e-01,  -1.35910004e-01,
          -2.77649999e-01,   3.12860007e-03,   2.05559999e-01,
          -1.57720000e-01,  -5.23079991e-01,  -6.47010028e-01,
          -3.70139986e-01,   6.93930015e-02,   1.14009999e-01,
           2.75940001e-01,  -1.38750002e-01,  -2.72680014e-01,
           6.68910027e-01,  -5.64539991e-02,   2.40170002e-01,
          -2.67300010e-01,   2.98599988e-01,   1.00830004e-01,
           5.55920005e-01,   3.28489989e-01,   7.68579990e-02,
           1.55279994e-01,   2.56359994e-01,  -1.07720003e-01,
          -1.23590000e-01,   1.18270002e-01,  -9.90289971e-02,
          -3.43279988e-01,   1.15019999e-01,  -3.78080010e-01,
          -3.90120000e-02,  -3.45930010e-01,  -1.94040000e-01,
          -3.35799992e-01,  -6.23340011e-02,   2.89189994e-01,
           2.80319989e-01,  -5.37410021e-01,   6.27939999e-01,
           5.69549985e-02,   6.21469975e-01,  -2.52819985e-01,
           4.16700006e-01,  -1.01079997e-02,  -2.54339993e-01,
           4.00029987e-01,   4.24320012e-01,   2.26720005e-01,
           1.75530002e-01,   2.30489999e-01,   2.83230007e-01,
           1.38820007e-01,   3.12180002e-03,   1.70570001e-01,
           3.66849989e-01,   2.52470002e-03,  -6.40089989e-01,
          -2.97650009e-01,   7.89430022e-01,   3.31680000e-01,
          -1.19659996e+00,  -4.71559986e-02,   5.31750023e-01], dtype=float32)

+infobox("Important note", "⚠️")
    |  To make them compact and fast, spaCy's small #[+a("/models") models]
    |  (all packages that end in #[code sm]) #[strong don't ship with word vectors], and
    |  only include context-sensitive #[strong tensors]. This means you can
    |  still use the #[code similarity()] methods to compare documents, spans
    |  and tokens – but the result won't be as good, and individual tokens won't
    |  have any vectors assigned. So in order to use #[em real] word vectors,
    |  you need to download a larger model:

These calculated crystals were left in the entry by mistake:
........
This entry pairs a crystal structure of Sr2Zn3GeAu12 with its simulated PXRD pattern. Radiation: λ = 1.5418 Å (Cu Kα). Structure: a crystal structure in Alexandria, relaxed with GGA-PBE.

Peak list (10 most intense, 2θ = 15–90°, sorted by position)
- d = 4.587 Å, 2θ 19.35, I 349
- d = 3.003 Å, 2θ 29.75, I 346
- d = 2.809 Å, 2θ 31.86, I 1000
- d = 2.512 Å, 2θ 35.74, I 212
- d = 2.318 Å, 2θ 38.86, I 204
- d = 2.294 Å, 2θ 39.28, I 857
- d = 2.051 Å, 2θ 44.15, I 335
- d = 1.941 Å, 2θ 46.80, I 200
- d = 1.873 Å, 2θ 48.62, I 336
- d = 1.777 Å, 2θ 51.43, I 329

Crystal structure
Cell lengths 10.0491, 10.0491, 10.0491 Å; angles 41.42, 41.42, 41.42 degrees
Sites, in units of the cell vectors:
Sr  0.1501  0.1501  0.1501
Sr  0.8499  0.8499  0.8499
Zn  0.0000  0.5000  0.5000
Zn  0.5000  0.0000  0.5000
Zn  0.5000  0.5000  0.0000
Ge  0.5000  0.5000  0.5000
Au  0.0878  0.0878  0.6862
Au  0.0878  0.6862  0.0878
Au  0.1428  0.5777  0.5777
Au  0.3138  0.9122  0.9122
Au  0.4223  0.4223  0.8572
Au  0.4223  0.8572  0.4223
Au  0.5777  0.1428  0.5777
Au  0.5777  0.5777  0.1428
Au  0.6862  0.0878  0.0878
Au  0.8572  0.4223  0.4223
Au  0.9122  0.3138  0.9122
Au  0.9122  0.9122  0.3138

* * * * *

No. 1
Starting from a crystal structure in Alexandria, relaxed with PBE, the X-ray powder pattern of Ho2Er2Pb2S was simulated for a wavelength of 1.5418 Å.
Peak positions follow from Bragg's law for the DFT cell and can differ from measured ones.

The 10 most intense peaks (10° ≤ 2θ ≤ 90°), in order of falling intensity:
d [Å]  2θ/deg  I/Imax
2.662  33.7  100
2.519  35.6  73
3.255  27.4  67
1.481  62.7  53
1.832  49.8  38
3.563  25.0  30
2.669  33.6  29
1.781  51.3  26
2.703  33.1  16
1.563  59.1  16

```
data_Ho2Er2Pb2S
_cell_length_a 5.038
_cell_length_b 5.038
_cell_length_c 16.016
_cell_angle_alpha 90.00
_cell_angle_beta 90.00
_cell_angle_gamma 90.00
_symmetry_space_group_name_H-M 'I 4/m m m'
_symmetry_Int_Tables_number 139
_symmetry_space_group_name_Hall '-I 4 2'
loop_
_atom_site_label
_atom_site_type_symbol
_atom_site_fract_x
_atom_site_fract_y
_atom_site_fract_z
_atom_site_occupancy
Ho1 Ho 0.000 0.500 0.000 1
Er1 Er 0.000 0.000 0.167 1
Pb1 Pb 0.000 0.000 0.361 1
S1 S 0.000 0.000 0.000 1
```

---

No. 2
Starting from a crystal structure in Alexandria, relaxed with PBE, the X-ray powder pattern of Tl2SiSbAu6 was simulated for a wavelength of 1.5418 Å.
Peak positions follow from Bragg's law for the DFT cell and can differ from measured ones.

The 10 most intense peaks (10° ≤ 2θ ≤ 90°), in order of falling intensity:
d [Å]  2θ/deg  I/Imax
2.816  31.8  100
2.907  30.8  95
2.335  38.6  59
2.559  35.1  52
1.725  53.1  48
2.468  36.4  38
3.451  25.8  33
2.181  41.4  27
1.509  61.5  26
1.977  45.9  20

```
data_Tl2SiSbAu6
_cell_length_a 7.059
_cell_length_b 9.338
_cell_length_c 7.429
_cell_angle_alpha 90.00
_cell_angle_beta 90.00
_cell_angle_gamma 90.00
_symmetry_space_group_name_H-M 'P m m n'
_symmetry_Int_Tables_number 59
loop_
_symmetry_equiv_pos_as_xyz
'x,y,z'
'-x,-y,-z'
........

        +code-new(false, "bash", "$") python -m spacy download en_core_web_lg

    |  Models that come with built-in word vectors make them available as the
    |  #[+api("token#vector") #[code Token.vector]] attribute.
    |  #[+api("doc#vector") #[code Doc.vector]] and
    |  #[+api("span#vector") #[code Span.vector]] will default to an average
    |  of their token vectors. You can also check if a token has a vector
    |  assigned, and get the L2 norm, which can be used to normalise
    |  vectors.

    nlp = spacy.load('en_core_web_lg')
    tokens = nlp(u'dog cat banana sasquatch')

    for token in tokens:
        print(token.text, token.has_vector, token.vector_norm, token.is_oov)

    |  #[strong Text]: The original token text.#[br]
    |  #[strong has vector]: Does the token have a vector representation?#[br]
    |  #[strong Vector norm]: The L2 norm of the token's vector (the square root
    |  of the sum of the values squared)#[br]
    |  #[strong is OOV]: Is the word out-of-vocabulary?

Records of crystals, kept here for reference =
'''
The following is a theoretical powder diffractogram of CsCu3GeS4. It was derived from a structure optimized by DFT (PBE), using Cu Kα, 1.54184 Å.

Principal peaks in the range 10 to 80 degrees two-theta, low angle first:
2θ = 20.25°, intensity 68, (1 1 -1); 2θ = 21.74°, intensity 93, (0 1 2); 2θ = 25.31°, intensity 84, (0 2 1); 2θ = 27.45°, intensity 90, (1 0 2); 2θ = 28.89°, intensity 62, (1 2 -1); 2θ = 29.96°, intensity 100, (0 1 3); 2θ = 34.85°, intensity 59, (2 1 0); 2θ = 43.69°, intensity 66, (2 2 1); 2θ = 48.26°, intensity 61, (0 4 0); 2θ = 49.69°, intensity 72, (2 2 -4)

Cell and atoms:
```
data_CsCu3GeS4
_chemical_formula_sum 'Cs2 Cu6 Ge2 S8'
_cell_length_a 5.6596
_cell_length_b 7.5473
_cell_length_c 10.0524
_cell_angle_alpha 90.00
_cell_angle_beta 104.58
_cell_angle_gamma 90.00
_symmetry_space_group_name_H-M 'P 1 21/m 1'
_symmetry_Int_Tables_number 11
loop_
_symmetry_equiv_pos_as_xyz
'x,y,z'
'-x,-y,-z'
'-x,y+1/2,-z'
'x,-y+1/2,z'
loop_
_atom_site_label
_atom_site_type_symbol
_atom_site_fract_x
_atom_site_fract_y
_atom_site_fract_z
Cs1 Cs 0.2069 0.2500 0.3668
Cu1 Cu 0.2919 0.5661 0.0215
Cu2 Cu 0.4127 0.7500 0.2448
Ge1 Ge 0.1335 0.2500 0.7904
S1 S 0.0382 0.2500 0.9992
S2 S 0.1761 0.7500 0.3929
S3 S 0.3672 0.5007 0.8001
```

The following is a theoretical powder diffractogram of CsCuGeTe2S. It was derived from a structure optimized by DFT (PBE), using Cu Kα, 1.54184 Å.

Principal peaks in the range 10 to 80 degrees two-theta, low angle first:
2θ = 23.88°, intensity 37, (1 1 0); 2θ = 26.34°, intensity 64, (0 2 3); 2θ = 26.62°, intensity 79, (0 4 2); 2θ = 28.27°, intensity 66, (1 3 0); 2θ = 29.42°, intensity 88, (1 3 1); 2θ = 32.28°, intensity 48, (0 0 4); 2θ = 34.16°, intensity 65, (1 1 3); 2θ = 39.22°, intensity 100, (1 5 2); 2θ = 47.60°, intensity 40, (2 0 0); 2θ = 50.27°, intensity 47, (1 3 5)

Cell and atoms:
```
data_CsCuGeTe2S
_chemical_formula_sum 'Cs4 Cu4 Ge4 Te8 S4'
_cell_length_a 3.8220
_cell_length_b 16.8032
_cell_length_c 11.0919
_cell_angle_alpha 90.00
_cell_angle_beta 90.00
_cell_angle_gamma 90.00
_symmetry_space_group_name_H-M 'C m c m'
_symmetry_Int_Tables_number 63
_symmetry_space_group_name_Hall '-C 2c 2'
loop_
_atom_site_label
_atom_site_type_symbol
_atom_site_fract_x
_atom_site_fract_y
_atom_site_fract_z
Cs1 Cs 0.0000 0.2187 0.2500
Cu1 Cu 0.0000 0.0335 0.7500
Ge1 Ge 0.0000 0.5000 0.0000
Te1 Te 0.0000 0.1195 0.5523
S1 S 0.0000 0.4595 0.7500
```

The following is a theoretical powder diffractogram of CsHfCu3S4. It was derived from a structure optimized by DFT (PBE), using Cu Kα, 1.54184 Å.

Principal peaks in the range 10 to 80 degrees two-theta, low angle first:
2θ = 14.83°, intensity 100, (0 1 1); 2θ = 19.94°, intensity 50, (1 1 0); 2θ = 21.76°, intensity 72, (0 1 2); 2θ = 28.61°, intensity 49, (1 2 0); 2θ = 29.92°, intensity 43, (0 2 2); 2θ = 30.07°, intensity 54, (0 1 3); 2θ = 34.70°, intensity 45, (2 1 0); 2θ = 34.96°, intensity 45, (2 1 -2); 2θ = 43.65°, intensity 56, (2 2 1); 2θ = 49.17°, intensity 62, (2 2 -4)
'''
The records of crystals stop here =

+table(["Text", "Has vector", "Vector norm", "OOV"])
    - var style = [0, 1, 1, 1]
    +annotation-row(["dog", true, 7.033672992262838, false], style)
    +annotation-row(["cat", true, 6.68081871208896, false], style)
    +annotation-row(["banana", true, 6.700014292148571, false], style)
    +annotation-row(["sasquatch", false, 0, true], style)

    |  The words "dog", "cat" and "banana" are all pretty common in English, so
    |  they're part of the model's vocabulary, and come with a vector. The word
    |  "sasquatch" on the other hand is a lot less common and out-of-vocabulary
    |  – so its vector representation consists of 300 dimensions of #[code 0],
    |  which means it's practically nonexistent. If your application will
    |  benefit from a #[strong large vocabulary] with more vectors, you should
    |  consider using one of the larger models or loading in a full vector
    |  package, for example,
    |  #[+a("/models/en#en_vectors_web_lg") #[code en_vectors_web_lg]], which
    |  includes over #[strong 1 million unique vectors].